Monday, 8 March 2010

Hydroponics...Home Style!

As I mentioned earlier, I recently decided to finally put all those little bits I had bought since last year to make a hydroponics set for chillies.

So, here's a step by step guide to the wonderful world of DIY hydroponics.

I should warn you, though, that this is a purely experimental design, and there is every possibility that it will be a complete flop!

But then again, it might just work.

Part of the fun is finding out.


Right, first things first. You'll need the following stuff:
-Some gloves (protection first!)
-A good, well lit work surface
-A large bucket or plastic container
-Some empty, clean, used plastic soda bottles
-Some air tubing (the kind you use for aquariums)
-Air Stones (Ditto)
-An air pump (yup. Aquariums)
-A few splitter valves
-Some LECA (Light Expanded Clay Aggregate, though really, what you need is some medium for the plants to grow)
-A Sponge
-A pair of scissors
-Some chilli seeds (key item here, otherwise you might not grow anything)
-Some water and nutrients (also key)

Except for the water and nutrients, the rest of the items are down here:

-- Between two parts of the article: records of molecules --
+++
[1]
23
Properties=species:S:1:pos:R:3 method="wB97M-V/def2-TZVPD" max_force_ha_per_bohr=0.0256 e_homo_ha=-0.3161 de_lowest_kj_mol=159.0 smiles=CCCNCCCO lumo_energy_ev=1.01
C -0.53 -0.07 2.15
H 1.09 2.33 -1.50
H 1.19 -0.20 -2.56
H -0.97 0.56 1.38
H 0.07 -2.13 2.36
H -1.14 -1.83 1.11
H -1.51 -1.03 3.54
H -0.72 2.18 -3.14
C 0.88 -1.37 0.50
H -1.16 0.60 -2.57
H -0.61 -0.74 -0.76
O -1.44 -0.11 3.25
N 0.38 -0.96 -0.81
H 1.29 -2.38 0.41
C 1.12 0.09 -1.50
H 0.40 0.42 2.49
C -0.23 -1.43 1.56
H 2.13 0.15 -1.09
H -1.66 2.03 -1.69
C 0.44 1.46 -1.39
H 0.13 1.55 -0.34
C -0.83 1.58 -2.24
H 1.66 -0.70 0.85

***

[2]
23
Properties=species:S:1:pos:R:3 method="wB97M-V/def2-TZVPD" max_force_ha_per_bohr=0.0420 e_homo_ha=-0.3079 de_lowest_kj_mol=224.2 smiles=CCCCNCCO lumo_energy_ev=1.03
H 1.47 -1.59 1.08
C -0.52 2.23 0.96
H 1.44 1.08 0.24
N 1.12 0.46 0.96
H -1.44 2.71 1.33
H -0.87 1.90 0.01
H 0.51 1.38 2.74
O 0.44 3.25 0.69
C -0.93 -1.28 -1.23
H 0.89 3.53 1.50
H -0.49 -2.51 0.46
C 0.10 1.11 1.78
H -0.43 -1.80 -3.35
C 0.95 -0.91 0.40
H 0.61 -2.52 -2.11
H 0.69 -0.75 -2.61
H -1.14 -0.96 0.91
H -0.94 -0.21 -1.43
C -0.47 -1.44 0.21
H -1.89 -1.69 -1.51
H 1.58 -0.81 -0.48
C 0.07 -1.62 -2.40
H -0.75 0.43 1.86

***

[3]
23
Properties=species:S:1:pos:R:3 method="wB97M-V/def2-TZVPD" max_force_ha_per_bohr=0.1117 e_homo_ha=-0.3172 de_lowest_kj_mol=402.4 smiles=CCC[C@H](C)N(C)O lumo_energy_ev=1.01
C 0.60 0.09 0.14
C 0.90 1.24 -0.78
H 2.92 -2.58 -0.76
C -1.48 0.82 1.31
H -1.46 0.28 2.26
H 3.19 -0.82 -0.76
H -0.89 -1.34 0.76
H -3.47 0.24 0.72
N 1.16 -1.46 -0.57
H 0.74 2.20 -0.27
C -2.89 1.15 0.88
H -1.30 -0.38 -0.72
H 1.12 0.13 1.10
H -3.41 1.74 1.64
H 0.29 -2.02 -2.20
O 0.99 -1.39 -2.00
C 2.58 -1.63 -0.33
C -0.76 -0.40 0.22
H -0.91 1.73 1.47
H 1.94 1.16 -1.11
H 0.29 1.22 -1.68
H 2.73 -1.68 0.75
H -2.89 1.72 -0.05

***

[4]
23
Properties=species:S:1:pos:R:3 method="wB97M-V/def2-TZVPD" max_force_ha_per_bohr=0.0642 e_homo_ha=-0.3221 de_lowest_kj_mol=180.5 smiles=CCC[C@@H](C)NCO lumo_energy_ev=1.03
H -1.38 2.74 2.54
C -0.41 1.06 1.68
C 1.32 -0.10 -1.65
H -0.34 0.45 2.61
H -0.56 3.08 1.08
H 1.98 -0.92 -1.36
O -0.44 -2.97 -2.09
C -1.11 -2.11 -1.11
H 0.78 -0.40 -2.56
H 1.55 0.11 1.20
C 0.17 -0.05 -0.54
H -1.33 0.67 1.22
N -0.30 -1.38 -0.25
H -1.65 -1.40 -1.75
H 0.42 -3.32 -1.80
C 0.74 0.63 0.71
H 0.97 1.64 0.32
H 0.15 -1.81 0.53
H 1.87 0.83 -1.64
H -1.75 -2.84 -0.63
H 0.42 3.03 2.42
C -0.45 2.53 2.00
H -0.64 0.55 -0.94

***

[5]
23
Properties=species:S:1:pos:R:3 method="wB97M-V/def2-TZVPD" max_force_ha_per_bohr=0.0414 e_homo_ha=-0.3605 de_lowest_kj_mol=86.2 smiles="CC(N)=O.CC(C)C" lumo_energy_ev=0.72
H 1.92 -1.41 -2.22
H 0.85 -0.13 -2.77
H -1.77 -0.59 0.35
H -3.49 -0.10 0.46
C -2.01 1.38 1.14
H 2.59 0.62 -0.36
C 1.53 0.84 -0.49
O -2.54 2.47 1.09
C -2.48 0.24 0.28
H 0.18 -1.71 -2.28
H 1.36 -2.55 0.23
H 1.40 1.46 -1.38
C 0.94 -0.96 -2.08
H 1.17 1.45 0.34
H -0.27 -0.35 -0.39
H 2.41 -1.24 0.59
H 1.05 -1.20 1.42
C 1.36 -1.48 0.40
H -0.94 0.25 2.55
H -0.61 1.93 2.48
C 0.79 -0.50 -0.62
+++


So, grab your bottles, and cut them down the middle, about 75% of their circumference so that you can open and close them without having two bottle halves. The bottle will become your individual container for the plants.

Then cut small holes at the bottom of the bottles (this is important for drainage)

Inserted here: quantum chemistry results >
____________
{"formula": "C24H29ClF5NO6", "method": "wB97M-V/def2-TZVPD", "energy_ha": -2396.8488, "e_homo_ev": -8.76, "max_force_ev_per_a": 8.541, "lumo_energy_ev": -2.421, "homo_lumo_gap_ev": 6.3, "symbols": ["O", "N", "O", "C", "C", "C", "Cl", "C", "O", "C", "C", "C", "C", "C", "C", "C", "C", "C", "C", "C", "C", "C", "C", "F", "F", "C", "F", "F", "F", "C", "O", "H", "H", "H", "H", "H", "H", "H", "H", "H", "H", "H", "H", "H", "H", "H", "H", "H", "C", "C", "O", "H", "H", "H", "H", "H", "H", "C", "C", "O", "H", "H", "H", "H", "H", "H"], "positions_angstrom": [[-0.662265, 2.225987, -3.722128], [-0.393919, 2.318962, -2.514938], [0.825316, 2.892905, -2.493278], [1.541301, 2.629985, -1.233786], [1.989810, 1.064987, -1.007984], [2.669409, 0.291497, -2.084051], [3.142994, 0.970050, -3.767784], [3.040989, -1.280396, -1.797556], [4.015652, -1.862824, -2.524007], [2.166042, -2.125339, -0.649782], [2.082168, -3.747656, -0.870369], [1.436400, -4.171831, -2.317803], [-0.081086, -3.611848, -2.590187], [-1.309408, -4.736188, -2.744041], [-2.865406, -4.235030, -3.068718], [-3.280315, -2.653732, -3.251811], [-2.080377, -1.526504, -3.053644], [-0.524085, -2.036075, -2.729259], [1.499968, -1.355393, 0.456836], [0.655271, -2.220395, 1.564030], [-0.039066, -1.336234, 2.757147], [-0.589348, -2.444719, 3.882140], [-2.008064, -2.012429, 4.580886], [-1.831489, -0.670779, 5.185902], [-2.212450, -2.959510, 5.740292], [-3.332353, -2.176191, 3.628463], [-3.252782, -3.352084, 2.700265], [-3.529513, -0.974379, 2.785145], [-4.603031, -2.325111, 4.432211], [1.702731, 0.275292, 0.438253], [1.701296, 1.076235, 1.524871], [0.800477, 2.935405, -0.357825], [2.509653, 3.308519, -1.243576], [3.206935, -4.142533, -0.871567], [1.536258, -4.340196, -0.021753], [1.375979, -5.349765, -2.336353], [2.133297, -3.721700, -3.154524], [-1.077914, -5.891050, -2.622117], [-3.722415, -5.040266, -3.189956], [-4.357350, -2.253364, -3.512956], [-2.375366, -0.378799, -3.150046], [0.289851, -1.180504, -2.596204], [1.399232, -2.984735, 2.099258], [-0.187784, -2.845454, 1.022701], [0.745964, -0.671672, 3.362617], [-0.945222, -0.711167, 2.354957], [0.249802, -2.686116, 4.683285], [-0.760873, -3.451586, 3.282576], [4.122753, 3.018787, 4.070839], [3.692757, 4.345801, 3.480590], [3.566479, 4.231459, 2.070868], [5.078082, 2.698605, 3.642406], [4.229173, 3.091246, 5.156880], [3.392021, 2.236923, 3.839492], [4.436302, 5.119149, 3.695245], [2.731870, 4.666543, 3.894417], [2.897910, 3.548347, 1.890903], [-4.115621, 4.686985, -2.860827], [-3.179034, 5.813640, -2.476496], [-2.357436, 5.412139, -1.390168], [-4.745006, 4.403062, -2.011130], [-4.759317, 4.982147, -3.694252], [-3.550404, 3.795114, -3.150480], [-3.747805, 6.695454, -2.166806], [-2.537271, 6.094606, -3.317108], [-1.850368, 4.633725, -1.678208]], "atomic_forces_ev_per_a": [[-0.495, -0.010, 4.163], [-0.284, -0.353, -5.167], [2.003, -0.428, 1.850], [0.158, -0.026, 2.025], [1.340, -2.405, -2.959], [-1.583, 0.839, 2.903], [-0.816, -1.142, 3.099], [3.608, -2.213, -2.900], [-6.276, 3.464, 4.642], [-1.358, 2.319, 1.706], [0.954, 0.120, -0.115], [-0.689, 0.870, -0.145], [-4.435, 0.539, -0.502], [-1.015, 4.212, -0.422], [2.314, 2.411, 0.201], [4.842, -0.696, 1.108], [0.470, -4.396, 0.260], [-2.298, -1.828, -0.377], [1.817, -1.743, -3.170], [0.329, 0.506, 0.601], [0.102, -0.577, 1.061], [-0.226, -0.439, -1.092], [2.035, -0.817, 2.373], [-1.214, -3.782, -1.973], [0.219, 2.734, -3.259], [-3.142, 0.487, -1.316], [-0.120, 4.065, 3.366], [0.788, -4.026, 2.701], [4.585, 0.415, -2.851], [0.356, 3.364, 3.405], [-0.239, -5.035, -6.381], [1.862, -0.681, -1.662], [-2.225, -1.398, -0.063], [-2.372, 0.924, -0.071], [0.898, 1.622, -1.467], [0.270, 2.488, -0.180], [-1.364, -1.220, 1.604], [-0.577, 2.736, -0.331], [2.096, 1.800, 0.303], [2.408, -1.228, 0.640], [1.003, -2.749, 0.249], [-1.908, -2.080, -0.370], [-1.510, 1.652, -1.329], [1.778, 1.351, 0.915], [-1.846, -1.233, -1.827], [1.941, -1.052, 0.769], [-2.146, 0.794, -1.419], [0.014, 1.996, 1.456], [0.133, -0.140, 0.176], [-0.129, -0.327, -0.027], [-0.216, -0.059, -0.405], [-0.085, 0.129, 0.080], [-0.013, -0.073, -0.063], [-0.022, 0.094, 0.089], [-0.127, -0.056, -0.218], [0.070, 0.057, 0.197], [0.327, 0.257, 0.129], [-0.239, -0.063, -0.062], [0.042, -0.337, -0.112], [0.374, -0.179, 0.189], [0.056, 0.133, -0.103], [0.039, -0.099, 0.037], [-0.016, 0.100, -0.104], [0.213, -0.117, 0.111], [-0.151, 0.105, -0.121], [-0.306, 0.428, 0.157]], "mulliken_charge": [-0.3722, 0.1493, -0.0510, -0.5205, 0.5086, 0.0213, -0.1306, 0.3202, -0.5642, -0.2401, -0.5578, -0.6143, 0.4842, -0.5522, -0.3579, -0.4307, -0.3111, 0.0245, 0.9205, -0.6879, -0.2238, -0.8851, 0.5640, -0.2658, -0.3032, 0.6689, -0.2409, -0.2258, -0.2381, -0.1238, -0.5676, 0.2701, 0.2835, 0.3333, 0.2587, 0.3656, 0.2751, 0.1993, 0.2710, 0.2829, 0.2471, 0.1043, 0.3058, 0.3905, 0.1948, 0.2857, 0.4085, 0.3219, -0.8062, -0.2079, -0.4961, 0.2523, 0.3370, 0.1443, 0.2843, 0.2450, 0.2495, -0.8488, -0.2138, -0.4868, 0.2594, 0.3124, 0.2080, 0.2873, 0.2467, 0.2387]}
____________
Back to the entry >

Insert one of the air stones into the bottle, preferably by punching a hole through the side of the bottle (since if you try to run the air tube under the bottle, it will either not be stable, or you'll restrict air flow to the bottle).

Take the bottles, and fill them with LECA up to the cut off point. Then place all the bottles into your container. Then, take all the air tubes and connect them to the splitter valves.

Grab a sponge, and cut it into small segments. Punch a small hole in the middle of each sponge (the seed goes in there)

Place a small segment into each bottle, so that it sinks into some of the LECA.

Add the seeds!

Add the water and nutrients, so that if fills up about a third of the container (or if you've got a larger container, fill it with about two-three inches of water. You don't want to flood the bottles with water. The air pump and the air bubbles created by the air stone will move the wather via the LECA slowly but continuously up to the sponge).

Molecular data from another source follow >
This record from the OMol25 dataset describes a 2-piece molecular cluster, C36H41N2O2S overall at a distorted geometry. The level of theory is the ωB97M-V functional and the def2-TZVPD basis.

Values from the calculation:
- HOMO level (eV) = -9.35
- LUMO (eV) = -4.46
- net charge = +1
- multiplicity = 1

```
82
Properties=species:S:1:pos:R:3:forces:R:3
C -7.686 -3.361 3.429 0.4 0.7 -0.1
O -7.125 -2.028 3.365 -0.2 -0.2 0.1
C -5.779 -1.836 3.370 0.8 0.0 -0.1
C -5.318 -0.487 3.351 -0.3 -1.0 0.0
C -3.961 -0.203 3.330 0.1 -0.3 -0.1
C -3.008 -1.238 3.317 -0.2 -0.2 0.1
C -1.520 -0.930 3.278 0.6 0.3 0.0
C -0.631 -2.053 3.296 0.0 -0.1 0.0
S 1.054 -1.832 3.359 -0.9 -0.7 0.0
C 1.583 -2.789 4.855 0.3 0.2 -0.7
C 1.665 -2.928 2.004 0.4 0.3 0.7
O -1.102 0.242 3.229 -0.6 -0.5 0.0
C -3.476 -2.559 3.358 0.2 0.5 0.0
C -4.829 -2.881 3.383 -0.4 0.5 0.0
H -8.770 -3.215 3.443 0.3 0.0 0.0
H -7.407 -3.939 2.540 0.0 0.0 0.2
H -7.373 -3.872 4.346 0.0 0.0 -0.2
H -6.064 0.301 3.352 0.1 0.0 0.0
H -3.621 0.831 3.332 0.0 -0.2 0.0
H -0.945 -3.090 3.317 0.1 0.2 0.0
H 2.679 -2.735 4.890 -0.3 -0.1 0.1
H 1.141 -2.261 5.708 0.1 -0.2 -0.3
H 1.231 -3.830 4.800 0.1 0.5 0.0
H 2.764 -2.840 1.996 -0.4 -0.2 -0.1
H 1.346 -3.966 2.183 0.1 0.4 -0.1
H 1.240 -2.525 1.077 0.1 -0.2 0.4
H -2.742 -3.356 3.385 -0.3 0.0 0.0
H -5.122 -3.929 3.409 0.0 0.3 0.0
C 4.777 6.525 -0.605 0.2 -0.1 0.3
N 3.349 6.313 -0.445 -0.1 -0.3 -0.1
C 2.607 7.432 0.108 -0.2 0.3 -0.2
C 2.757 5.110 -0.736 0.2 0.3 0.2
C 1.427 5.059 -1.232 -0.2 -0.2 0.0
C 0.851 3.846 -1.548 0.1 0.1 0.5
C 1.546 2.629 -1.340 -0.1 -0.3 -0.3
C 0.901 1.348 -1.604 0.4 0.2 -0.1
C -0.486 1.191 -1.359 -0.5 -0.4 -0.1
C -1.217 0.046 -1.630 0.3 0.8 -0.2
C -2.633 -0.114 -1.388 -0.8 -0.1 0.2
C -3.278 -1.337 -1.712 0.4 0.3 0.1
C -4.629 -1.521 -1.461 -0.1 0.1 0.1
C -5.381 -0.489 -0.888 0.2 -0.1 -0.1
C -4.778 0.735 -0.594 0.1 0.2 0.0
C -3.424 0.927 -0.843 0.1 -0.2 -0.1
C 1.715 0.253 -2.123 0.2 0.0 0.2
C 1.670 -1.030 -1.543 0.3 0.1 0.0
C 2.544 -2.018 -1.962 -0.2 0.1 -0.2
C 3.285 -1.836 -3.156 0.1 0.0 0.0
N 4.048 -2.861 -3.665 0.0 -0.1 0.0
C 4.125 -3.130 -5.089 0.3 0.2 -0.1
C 4.907 -3.680 -2.828 -0.2 -0.3 0.0
C 3.233 -0.587 -3.821 -0.1 -0.1 0.2
C 2.570 0.471 -3.232 -0.4 0.0 0.1
C 2.881 2.691 -0.847 -0.1 -0.1 -0.3
C 3.475 3.897 -0.548 -0.1 0.0 -0.2
H 5.246 5.675 -1.112 -0.2 0.3 0.1
H 4.962 7.428 -1.208 -0.2 -0.2 0.1
H 5.268 6.669 0.369 0.0 0.0 -0.2
H 1.567 7.157 0.316 0.3 0.0 0.0
H 3.070 7.766 1.051 -0.1 -0.2 -0.2
H 2.613 8.288 -0.583 -0.1 -0.1 0.1
H 0.874 5.987 -1.405 0.3 -0.4 0.0
H -0.142 3.808 -2.000 0.3 0.1 0.2
H -1.004 2.056 -0.949 0.2 -0.3 0.1
H -0.711 -0.792 -2.111 -0.1 0.2 0.1
H -2.697 -2.138 -2.170 -0.1 0.2 0.1
H -5.112 -2.466 -1.714 0.2 0.3 0.1
H -6.442 -0.636 -0.683 0.3 0.0 0.0
H -5.372 1.551 -0.173 0.2 -0.3 -0.1
H -2.958 1.890 -0.629 -0.3 -0.3 0.1
H 0.957 -1.214 -0.737 0.5 0.1 0.0
H 2.602 -2.968 -1.427 -0.1 0.2 -0.3
H 3.387 -2.540 -5.645 0.2 -0.2 0.2
H 5.127 -2.900 -5.479 -0.2 -0.1 -0.1
H 3.924 -4.196 -5.279 0.0 0.2 0.1

And presto! one giant contraption built to grow (fingers crossed) some chillies.

1 comment:

  1. This is one of the best technique to grow any type of flowers, I am fairly satisfied from this technique. You have done an excellent job there to distributed comprehensive information to the amazing globe of DIY hydroponics. I am considering to do such as at my house.
    grow box
